Programme SAP BPFCTRA0 - Analysis Program for Active Availability Control

• What comes next are crystal structures, not part of the article:
-- begin --
Record 1
Density functional theory data (PBE+U) for a geometry-optimized Li6Mn5FeB6O18 structure.

POSCAR file:
```
Li6Mn5FeB6O18
1.0
3.184 8.262 0.000
-3.184 8.262 0.000
0.000 4.131 7.171
O B Li Mn Fe
18 6 6 5 1
direct
0.986 0.487 0.778
0.970 0.470 0.420
0.555 0.555 0.805
0.815 0.323 0.442
0.459 0.959 0.141
0.402 0.402 0.079
0.058 0.058 0.807
0.638 0.143 0.748
0.470 0.970 0.420
0.959 0.459 0.141
0.039 0.039 0.116
0.624 0.125 0.473
0.125 0.624 0.473
0.903 0.903 0.078
0.143 0.638 0.748
0.487 0.986 0.778
0.539 0.539 0.112
0.323 0.815 0.442
0.583 0.085 0.666
0.085 0.583 0.666
0.499 0.499 0.000
0.000 0.000 0.000
0.418 0.914 0.334
0.914 0.418 0.334
0.599 0.100 0.017
0.259 0.758 0.284
0.392 0.891 0.698
0.758 0.259 0.284
0.891 0.392 0.698
0.100 0.599 0.017
0.320 0.320 0.372
0.821 0.821 0.371
0.186 0.186 0.988
0.994 0.994 0.641
0.686 0.686 0.988
0.496 0.496 0.640
```

Properties
Total energy: -0.267 Ha/atom
Formation enthalpy at 0 K: -2481 meV per atom
Symmetry: Cm

Record 2
Density functional theory data (PBE+U) for a geometry-optimized Li8Mn7FeB8O24 structure.

POSCAR file:
```
Li8Mn7FeB8O24
1.0
1.812 2.165 4.424
-5.797 -5.163 4.672
9.734 -5.732 -1.113
Mn O B Li Fe
7 24 8 8 1
direct
0.167 0.803 0.383
0.333 0.698 0.617
0.667 0.803 0.883
0.332 0.198 0.115
0.833 0.697 0.117
0.834 0.197 0.617
0.667 0.302 0.382
0.180 0.399 0.085
0.214 0.179 0.663
0.590 0.026 0.649
0.090 0.525 0.649
0.910 0.475 0.351
0.286 0.822 0.838
0.681 0.899 0.087
0.713 0.179 0.162
0.214 0.679 0.162
0.714 0.679 0.663
0.319 0.601 0.413
0.589 0.525 0.148
0.792 0.321 0.841
0.818 0.601 0.913
0.411 0.469 0.853
0.090 0.025 0.149
0.786 0.821 0.337
0.820 0.101 0.413
0.909 0.975 0.851
0.681 0.399 0.587
0.181 0.899 0.587
0.317 0.103 0.911
0.410 0.975 0.351
0.286 0.321 0.338
0.831 0.035 0.131
0.669 0.965 0.369
0.169 0.966 0.868
0.330 0.535 0.130
0.169 0.465 0.369
0.831 0.535 0.632
0.331 0.036 0.632
0.671 0.463 0.870
0.350 0.883 0.164
0.649 0.117 0.836
0.151 0.617 0.836
0.650 0.617 0.336
0.150 0.118 0.335
0.349 0.382 0.665
0.850 0.382 0.164
0.850 0.883 0.664
0.164 0.304 0.882
```

Properties
Total energy: -0.267 Ha/atom
Formation enthalpy at 0 K: -2484 meV per atom
Symmetry: P1

Record 3
Density functional theory data (PBE+U) for a geometry-optimized Li4Mn3FeB4O12 structure.

POSCAR file:
```
Li4Mn3FeB4O12
1.0
5.241 0.000 0.000
-2.599 4.552 0.000
-0.382 -0.666 20.918
Li B Fe Mn O
8 8 2 6 24
direct
0.321 0.349 0.416
0.348 0.321 0.666
0.662 0.651 0.791
0.661 0.651 0.291
0.349 0.321 0.166
0.649 0.661 0.541
0.321 0.347 0.916
0.651 0.661 0.041
0.335 0.996 0.062
0.003 0.660 0.687
0.660 0.003 0.438
0.996 0.334 0.312
0.334 0.994 0.562
0.994 0.333 0.812
0.003 0.658 0.187
0.659 0.003 0.937
0.327 0.001 0.809
0.003 0.334 0.559
0.998 0.679 0.933
0.997 0.329 0.058
0.329 0.997 0.309
0.677 0.998 0.683
0.997 0.675 0.434
0.677 0.996 0.183
0.576 0.959 0.077
0.068 0.754 0.041
0.036 0.423 0.666
0.971 0.582 0.827
0.754 0.068 0.291
0.959 0.576 0.328
0.267 0.351 0.819
0.252 0.932 0.202
0.626 0.727 0.944
0.349 0.265 0.569
-- stop --
• End of the crystal structures:

Analysis Program for Active Availability Control Projects BPFCTRA0

## Between two parts of the piece: records of crystals
1.
## SrCa2Te3O9 (PBE)

Data for an optimized crystal structure of SrCa2Te3O9.

Computed properties:
- M_tot (Bohr magnetons per cell) = 0.000
- symmetry = P2_1 (4)

Cell and atoms, written as POSCAR:
```
SrCa2Te3O9
1.0
-2.346 4.966 -1.842
-4.174 -4.346 -6.400
-10.334 -3.487 3.762
Ca Sr O Te
4 2 18 6
Direct
0.992 0.303 0.051
0.448 0.980 0.616
0.948 0.020 0.384
0.492 0.697 0.949
0.501 0.998 0.137
0.001 0.002 0.863
0.330 0.467 0.089
0.240 0.162 0.245
0.185 0.816 0.516
0.654 0.839 0.487
0.926 0.927 0.215
0.230 0.834 0.051
0.256 0.210 0.947
0.884 0.262 0.693
0.209 0.760 0.793
0.426 0.073 0.785
0.154 0.161 0.513
0.756 0.790 0.053
0.709 0.240 0.207
0.730 0.166 0.949
0.384 0.738 0.307
0.740 0.838 0.755
0.830 0.533 0.911
0.685 0.184 0.484
0.422 0.694 0.477
0.438 0.333 0.246
0.998 0.744 0.171
0.922 0.306 0.523
0.498 0.256 0.829
0.938 0.667 0.754
```

=====

2.
## TlAgP2O6 (PBE)

Data for an optimized crystal structure of TlAgP2O6.

Computed properties:
- M_tot (Bohr magnetons per cell) = 0.001
- symmetry = P2_1/c (14)

Cell and atoms, written as POSCAR:
```
TlAgP2O6
1.0
-6.251 0.000 0.623
-0.063 0.000 -7.622
0.000 -13.544 0.000
P O Tl Ag
8 24 4 4
Direct
0.846 0.494 0.827
0.689 0.348 0.633
0.311 0.152 0.133
0.846 0.994 0.673
0.689 0.848 0.867
0.311 0.652 0.367
0.154 0.006 0.327
0.154 0.506 0.173
0.466 0.901 0.850
0.143 0.046 0.208
0.320 0.354 0.171
0.143 0.546 0.292
0.534 0.599 0.350
0.534 0.099 0.150
0.262 0.165 0.378
0.210 0.133 0.033
0.932 0.432 0.146
0.738 0.335 0.878
0.680 0.646 0.829
0.320 0.854 0.329
0.790 0.867 0.967
0.680 0.146 0.671
0.857 0.954 0.792
0.738 0.835 0.622
0.932 0.932 0.354
0.790 0.367 0.533
0.262 0.665 0.122
0.210 0.633 0.467
0.068 0.568 0.854
0.068 0.068 0.646
0.857 0.454 0.708
0.466 0.401 0.650
0.299 0.732 0.669
0.701 0.768 0.169
0.299 0.232 0.831
0.701 0.268 0.331
0.815 0.196 0.028
0.815 0.696 0.472
0.185 0.804 0.972
0.185 0.304 0.528
```

=====

3.
## ZrFe2N2 (PBE)

Data for an optimized crystal structure of ZrFe2N2.

Computed properties:
- M_tot (Bohr magnetons per cell) = 0.009
- symmetry = P-3m1 (164)

Cell and atoms, written as POSCAR:
```
ZrFe2N2
1.0
3.030 0.000 0.000
-1.515 2.624 0.000
0.000 0.000 6.552
Zr Fe N
1 2 2
Direct
0.000 0.000 0.000
0.667 0.333 0.343
0.333 0.667 0.657
0.333 0.667 0.227
0.667 0.333 0.773
```

=====

4.
## Cd3Ga2Te6 (PBE)

Data for an optimized crystal structure of Cd3Ga2Te6.

Computed properties:
- M_tot (Bohr magnetons per cell) = 0.003
- symmetry = C2 (5)

Cell and atoms, written as POSCAR:
```
Cd3Ga2Te6
1.0
-2.092 -5.145 -2.952
-8.471 2.407 1.808
-1.615 6.690 -3.814
Te Cd Ga
6 3 2
Direct
0.281 0.728 0.014
0.570 0.073 0.669
0.891 0.453 0.306
0.233 0.261 0.997
0.600 0.605 0.652
0.919 0.880 0.361
0.322 0.352 0.649
0.006 0.981 0.018
0.699 0.167 0.333
0.325 0.824 0.671
0.987 0.509 0.995
```

=====

5.
## LiSiBiO4 (PBE)

Data for an optimized crystal structure of LiSiBiO4.

Computed properties:
- M_tot (Bohr magnetons per cell) = 0.001
- symmetry = P6_3 (173)

When analyzing assigned values posted to projects, the existinginformation system reports may not be suitable because the assignedvalue of active availability control is generally different to theassigned value of passive availability control. (The assigned value ofactive availability control is displayed in the budget transactions andthe validation runs against it in accordance with the tolerance limitsset. The value of passive availability that is displayed in theinformation system results from the addition of the actual costs,commitment values and the residual plan). The analysis of the data ismore complicated in the case of project budgeting because thevalidation of the costs incurred is possibly not carried
out against the budget/the releases of the object itself, but againstthe budget/the releases of a subordinate object. This only applies ifnot budget/releases were distributed to the object itself. In addition,settlement within the project hierarchy be more complicated
and the rules of the order value update should be taken into accountfor the assigned orders and networks.
You can use the program to analyze assigned values posted to WBSelements, their composition and the Customizing settings relevant toavailability control.

Records of crystals that have nothing to do with the page:
........
[1]
La2Ni3: relaxed, r²SCAN.

Output
SG: No. 64

abc: 4.9693 5.3898 7.9593
angles: 90.00 90.00 117.45
Atoms (fractional coordinates):
La: 0.1545 0.3091 0.5952
La: 0.8455 0.6909 0.4048
La: 0.3455 0.6909 0.0952
La: 0.6545 0.3091 0.9048
Ni: 0.1612 0.8225 0.7500
Ni: 0.6612 0.8225 0.7500
Ni: 0.0000 0.0000 0.0000
Ni: 0.3388 0.1775 0.2500
Ni: 0.8388 0.1775 0.2500
Ni: 0.5000 0.0000 0.5000

[2]
Na3La5Cl18: relaxed, r²SCAN.

Output
SG: No. 174

abc: 7.5877 7.5876 13.0753
angles: 90.00 90.00 120.00
Atoms (fractional coordinates):
Cl: 0.0542 0.6341 0.1658
Cl: 0.0542 0.6341 0.8342
Cl: 0.2753 0.0275 0.0000
Cl: 0.9771 0.2523 0.3291
Cl: 0.5708 0.9573 0.5000
Cl: 0.2752 0.0229 0.6709
Cl: 0.5799 0.9458 0.8342
Cl: 0.0427 0.6136 0.5000
Cl: 0.7477 0.7248 0.6709
Cl: 0.3864 0.4292 0.5000
Cl: 0.2752 0.0229 0.3291
Cl: 0.9771 0.2523 0.6709
Cl: 0.7523 0.7247 0.0000
Cl: 0.7477 0.7248 0.3291
Cl: 0.9725 0.2477 0.0000
Cl: 0.3659 0.4201 0.1658
Cl: 0.3659 0.4201 0.8342
Cl: 0.5799 0.9458 0.1658
Na: 0.6667 0.3333 0.6433
Na: 0.6667 0.3333 0.3567
Na: 0.9999 0.9999 0.5000
La: 0.0000 0.0000 0.1670
La: 0.3333 0.6667 0.0000
La: 0.3333 0.6667 0.6647
La: 0.3333 0.6667 0.3354
La: 0.0000 0.0000 0.8330

[3]
Li2NiGe3O8: relaxed, r²SCAN.

Output
SG: No. 212

abc: 8.1896 8.1896 8.1897
angles: 90.00 90.00 90.00
Atoms (fractional coordinates):
O: 0.3739 0.3934 0.8991
O: 0.6066 0.3991 0.1261
O: 0.6491 0.3566 0.6239
O: 0.8761 0.3509 0.8566
O: 0.3566 0.6239 0.6491
O: 0.3761 0.1491 0.1434
O: 0.6434 0.1239 0.8509
O: 0.8658 0.1342 0.6342
O: 0.6239 0.6491 0.3566
O: 0.1239 0.8509 0.6434
O: 0.1009 0.8739 0.1066
O: 0.1491 0.1434 0.3761
O: 0.6342 0.8658 0.1342
O: 0.8566 0.8761 0.3509
O: 0.6261 0.8934 0.6009
O: 0.6009 0.6261 0.8934
O: 0.1066 0.1009 0.8739
O: 0.8509 0.6433 0.1239
O: 0.3658 0.3658 0.3658
O: 0.8739 0.1066 0.1009
O: 0.3842 0.6158 0.1158
O: 0.1342 0.6342 0.8658
O: 0.3934 0.8991 0.3739
O: 0.6158 0.1158 0.3842
O: 0.1434 0.3761 0.1491
O: 0.1158 0.3842 0.6159
O: 0.3991 0.1261 0.6066
O: 0.1261 0.6066 0.3991
O: 0.8991 0.3739 0.3934
O: 0.3509 0.8566 0.8761
O: 0.8933 0.6009 0.6261
O: 0.8842 0.8842 0.8842
Ge: 0.1273 0.3750 0.3773
Ge: 0.1250 0.6227 0.6273
Ge: 0.3773 0.1273 0.3750
Ge: 0.6273 0.1250 0.6227
Ge: 0.8727 0.8750 0.1227
Ge: 0.8773 0.3727 0.6250
Ge: 0.6250 0.8773 0.3727
Ge: 0.6227 0.6273 0.1250
Ge: 0.3727 0.6250 0.8773
Ge: 0.8750 0.1227 0.8727
Ge: 0.3750 0.3773 0.1273
Ge: 0.1227 0.8727 0.8750
Ni: 0.6250 0.3750 0.8750
Ni: 0.1250 0.1250 0.1250
Ni: 0.3750 0.8750 0.6250
Ni: 0.8750 0.6250 0.3750
Li: 0.9966 0.4966 0.0034
Li: 0.0034 0.9966 0.4966
Li: 0.2534 0.2466 0.7534
Li: 0.2466 0.7534 0.2534
Li: 0.4966 0.0034 0.9966
Li: 0.7534 0.2534 0.2466
Li: 0.7466 0.7466 0.7466
Li: 0.5034 0.5034 0.5034

[4]
K5ThF9: relaxed, r²SCAN.

Output
SG: No. 36

abc: 7.4940 7.4940 10.5106
angles: 90.00 90.00 116.71
Atoms (fractional coordinates):
F: 0.2484 0.7516 0.9538
F: 0.6491 0.3509 0.2249
F: 0.9462 0.5024 0.7703
F: 0.7516 0.2484 0.4538
F: 0.4808 0.5192 0.4612
F: 0.4976 0.0538 0.7703
F: 0.2007 0.7993 0.5359
........

The program is included in the budget transaction, you can call it upunder Extras > Availability Control > Analysis.


The project structure is issued with all posted costs and revenues.
The program lists the distributable budget, the distributable releasesand the assigned values determined by availability control at the levelof the WBS elements. If availability control is not active aninformation message is issued. In this case, the program can startanalyzing the posted costs, revenues, plan values and commitmentsbecause the identification of the values not relevant to availabilitycontrol works. WBS elements that are not distributed to budget/releasesare highlighted in color (white) contrasted with the budget objects inblue. In this way, you can easily identify the WBS elements that arenot checked by availability control.(The distributable budget value ofa WBS element can be zero and the WBS elements is still a budgetobject, for example, if the budget was changed the value zero by areturn).
The program lists the posted costs, revenues, and commitments under theWBS elements or the assigned orders and networks, but the period valuesare listed separately. Plan values are only assigned for orders andnetworks because they can only enter the assigned value there. Thebasic key fields of the record are displayed in the database and areseparated from each other by a '|' sign. This makes it possible toanalyze the assigned values more closely using program RKACSHOW. Notethat the key contains the field transaction currency, but the postedvalue is always issued in the currency that is checked by availabilitycontrol.This can be the controlling area currency or the objectcurrency depending on the setting in the budget profile. The key fieldsdisplayed are:
Tables COSP/COSS: fiscal year, value type, cost type, origin,transaction, debit indicator, transaction currency
Table BPGE: value type, transaction, transaction currency
Table BPJA: fiscal year, value type, transaction, transaction currency
If a value is not relevant for availability control (for example,exempt cost element, settlement to a non-potential object controlled bybudget,...
), the line is highlighted in color (red) and given an indicator whichdisplays the reason. A legend explaining the meaning of the indicatorsused in issued in the list header.
If an overall plan value exists for an object, values planned at yearlevel are not relevant for availability control and are not displayedby the analysis program.

1606017BPFCTRA0: Unjustified error 00 208 for =SUM
196149BPFCTRA0: Analysis program active availabil.control projects
1414563Different assigned values in availability ctrl and reporting
178837Availability control: Incorrect assigned value?
797046Prevent GPDS/P entries from contributing to assigned values
1118333Assigned value for goods receipt in valuated project stock
873977Controlling elements in availability control
574187Budget overrun in spite of error message
484909BPFCTRA0/BPFCTRA1:Cost element incorrectly E:Revenue element
484047BPFCTRA0/BPFCTRA1: Value type 60 (Parked document)
421135BPFCTRA0/BPFCTRA1: Including in budgeting menu
400554BPFCTRA0:Structure planning values and transaction currency
382822BPFCTRA0: Settlement credits incorrectly categorized